[Job]
Next, retype all of the lines further down exactly.

[Data]
-- begin --
(1)
## Dy3NiPd2 (PBE-GGA)

Data for Dy3NiPd2 after structural relaxation.

Calculated values
- Formation energy from the elements: -0.754 eV/atom
- ρ: 9.70 g/cm³
- Symmetry: No. 11
- Crystal system: monoclinic

```
Dy3NiPd2
1.0
4.493 0.000 0.000
0.000 5.527 0.000
0.000 1.281 10.467
Dy Ni Pd
6 2 4
Cartesian
1.123 3.237 8.203 Dy
3.369 3.570 2.263 Dy
1.123 0.773 1.295 Dy
3.369 6.034 9.172 Dy
1.123 2.015 4.776 Dy
3.369 4.793 5.691 Dy
1.123 4.743 3.764 Ni
3.369 2.065 6.703 Ni
1.123 3.608 0.294 Pd
3.369 3.200 10.173 Pd
1.123 5.994 7.264 Pd
3.369 0.814 3.203 Pd
```

---

(2)
## Cs3Ta5O14 (PBE-GGA)

Data for Cs3Ta5O14 after structural relaxation.

Calculated values
- Formation energy from the elements: -3.178 eV/atom
- ρ: 6.75 g/cm³
- M_tot: 0.001 μB per atom
- Symmetry: No. 55
- Crystal system: orthorhombic

```
Cs3Ta5O14
1.0
7.492 0.000 0.000
0.000 7.534 0.000
0.000 0.000 26.613
Cs Ta O
12 20 56
Cartesian
0.000 2.558 21.054 Cs
0.000 4.976 5.559 Cs
3.746 6.328 16.513 Cs
0.000 1.209 7.748 Cs
3.746 1.943 13.937 Cs
0.000 6.324 18.865 Cs
3.746 1.205 10.099 Cs
3.746 1.824 0.631 Cs
3.746 5.591 12.675 Cs
3.746 2.562 23.406 Cs
3.746 5.710 25.982 Cs
3.746 4.972 3.207 Cs
5.585 6.313 22.572 Ta
0.000 3.229 1.449 Ta
3.746 4.511 19.854 Ta
1.907 1.221 4.040 Ta
0.000 0.538 14.755 Ta
0.000 3.115 11.795 Ta
5.585 1.221 4.040 Ta
3.746 6.789 6.547 Ta
3.746 3.022 6.759 Ta
0.000 4.305 25.164 Ta
0.000 6.882 1.511 Ta
1.907 4.987 9.266 Ta
0.000 0.652 25.101 Ta
5.585 4.987 9.266 Ta
0.000 4.419 14.818 Ta
3.746 0.744 20.065 Ta
0.000 6.996 11.858 Ta
1.907 6.313 22.572 Ta
5.585 2.546 17.347 Ta
1.907 2.546 17.347 Ta
1.417 2.563 2.601 O
0.000 1.207 0.420 O
3.746 6.437 19.370 O
3.746 4.956 9.958 O
0.000 2.494 24.472 O
0.000 6.530 22.141 O
3.746 4.863 6.064 O
6.075 4.970 24.012 O
0.000 2.560 13.727 O
2.358 3.451 8.082 O
3.746 1.096 7.242 O
5.184 2.536 5.353 O
6.184 0.000 13.306 O
5.184 6.303 7.954 O
0.000 2.763 17.778 O
1.569 7.345 2.383 O
6.184 3.767 0.000 O
5.134 3.451 8.082 O
2.309 6.303 7.954 O
2.309 1.231 18.659 O
6.075 2.563 2.601 O
5.184 4.998 21.260 O
2.309 2.536 5.353 O
0.000 6.327 26.192 O
1.569 0.188 24.230 O
2.358 7.218 5.225 O
3.746 2.670 20.549 O
0.000 1.003 4.471 O
1.417 4.970 24.012 O
6.075 1.203 15.907 O
0.000 6.260 15.447 O
2.309 4.998 21.260 O
3.746 6.344 23.264 O
5.134 0.316 21.388 O
2.358 4.083 18.531 O
5.924 3.578 10.923 O
5.924 3.955 15.689 O
0.000 5.040 2.141 O
0.000 4.973 12.886 O
5.184 1.231 18.659 O
5.134 7.218 5.225 O
0.000 4.770 8.835 O
3.746 1.190 3.349 O
5.134 4.083 18.531 O
1.308 0.000 13.306 O
5.924 7.345 2.383 O
6.075 6.330 10.706 O
3.746 2.577 16.655 O
5.924 0.188 24.230 O
1.417 6.330 10.706 O
1.569 3.955 15.689 O
1.417 1.203 15.907 O
0.000 1.273 11.166 O
1.569 3.578 10.923 O
2.358 0.316 21.388 O
1.308 3.767 0.000 O
```

---

(3)
## ScGa (PBE-GGA)

Data for ScGa after structural relaxation.

Calculated values
- Formation energy from the elements: -0.603 eV/atom
- ρ: 4.71 g/cm³
- Symmetry: No. 63
- Crystal system: orthorhombic

```
ScGa
1.0
2.014 -5.135 0.000
2.014 5.135 0.000
0.000 0.000 3.914
Sc Ga
2 2
Cartesian
2.014 3.708 0.978 Sc
2.014 -3.708 2.935 Sc
2.014 0.838 0.978 Ga
2.014 -0.838 2.935 Ga
```

---

(4)
## KBa2Re (PBE-GGA)

Data for KBa2Re after structural relaxation.

Calculated values
- Formation energy from the elements: 1.271 eV/atom
- ρ: 5.57 g/cm³
- M_tot: 0.522 μB per atom
- Symmetry: No. 216
- Crystal system: cubic

```
KBa2Re
1.0
2.574 -5.175 -1.418
-3.321 -4.895 -0.652
-0.815 -2.345 -5.409
K Ba Re
1 2 1
Cartesian
-0.780 -6.207 -3.740 K
0.000 0.000 0.000 Ba
-0.390 -3.104 -1.870 Ba
-1.171 -9.311 -5.609 Re
```

---

(5)
## Na5Sn10Hg2 (PBE-GGA)

Data for Na5Sn10Hg2 after structural relaxation.

Calculated values
- Formation energy from the elements: -0.135 eV/atom
- ρ: 5.63 g/cm³
- M_tot: 0.000 μB per atom
- Symmetry: No. 60
- Crystal system: orthorhombic

```
Na5Sn10Hg2
1.0
0.000 -11.041 0.000
-13.461 0.000 0.000
0.000 0.000 -13.520
Na Sn Hg
20 40 8
Cartesian
0.000 -8.147 -10.140 Na
0.000 -2.894 -3.380 Na
-- stop --

[Response]
(1)
## Dy3NiPd2 (PBE-GGA)

Data for Dy3NiPd2 after structural relaxation.

Calculated values
- Formation energy from the elements: -0.754 eV/atom
- ρ: 9.70 g/cm³
- Symmetry: No. 11
- Crystal system: monoclinic

```
Dy3NiPd2
1.0
4.493 0.000 0.000
0.000 5.527 0.000
0.000 1.281 10.467
Dy Ni Pd
6 2 4
Cartesian
1.123 3.237 8.203 Dy
3.369 3.570 2.263 Dy
1.123 0.773 1.295 Dy
3.369 6.034 9.172 Dy
1.123 2.015 4.776 Dy
3.369 4.793 5.691 Dy
1.123 4.743 3.764 Ni
3.369 2.065 6.703 Ni
1.123 3.608 0.294 Pd
3.369 3.200 10.173 Pd
1.123 5.994 7.264 Pd
3.369 0.814 3.203 Pd
```

---

(2)
## Cs3Ta5O14 (PBE-GGA)

Data for Cs3Ta5O14 after structural relaxation.

Calculated values
- Formation energy from the elements: -3.178 eV/atom
- ρ: 6.75 g/cm³
- M_tot: 0.001 μB per atom
- Symmetry: No. 55
- Crystal system: orthorhombic

```
Cs3Ta5O14
1.0
7.492 0.000 0.000
0.000 7.534 0.000
0.000 0.000 26.613
Cs Ta O
12 20 56
Cartesian
0.000 2.558 21.054 Cs
0.000 4.976 5.559 Cs
3.746 6.328 16.513 Cs
0.000 1.209 7.748 Cs
3.746 1.943 13.937 Cs
0.000 6.324 18.865 Cs
3.746 1.205 10.099 Cs
3.746 1.824 0.631 Cs
3.746 5.591 12.675 Cs
3.746 2.562 23.406 Cs
3.746 5.710 25.982 Cs
3.746 4.972 3.207 Cs
5.585 6.313 22.572 Ta
0.000 3.229 1.449 Ta
3.746 4.511 19.854 Ta
1.907 1.221 4.040 Ta
0.000 0.538 14.755 Ta
0.000 3.115 11.795 Ta
5.585 1.221 4.040 Ta
3.746 6.789 6.547 Ta
3.746 3.022 6.759 Ta
0.000 4.305 25.164 Ta
0.000 6.882 1.511 Ta
1.907 4.987 9.266 Ta
0.000 0.652 25.101 Ta
5.585 4.987 9.266 Ta
0.000 4.419 14.818 Ta
3.746 0.744 20.065 Ta
0.000 6.996 11.858 Ta
1.907 6.313 22.572 Ta
5.585 2.546 17.347 Ta
1.907 2.546 17.347 Ta
1.417 2.563 2.601 O
0.000 1.207 0.420 O
3.746 6.437 19.370 O
3.746 4.956 9.958 O
0.000 2.494 24.472 O
0.000 6.530 22.141 O
3.746 4.863 6.064 O
6.075 4.970 24.012 O
0.000 2.560 13.727 O
2.358 3.451 8.082 O
3.746 1.096 7.242 O
5.184 2.536 5.353 O
6.184 0.000 13.306 O
5.184 6.303 7.954 O
0.000 2.763 17.778 O
1.569 7.345 2.383 O
6.184 3.767 0.000 O
5.134 3.451 8.082 O
2.309 6.303 7.954 O
2.309 1.231 18.659 O
6.075 2.563 2.601 O
5.184 4.998 21.260 O
2.309 2.536 5.353 O
0.000 6.327 26.192 O
1.569 0.188 24.230 O
2.358 7.218 5.225 O
3.746 2.670 20.549 O
0.000 1.003 4.471 O
1.417 4.970 24.012 O
6.075 1.203 15.907 O
0.000 6.260 15.447 O
2.309 4.998 21.260 O
3.746 6.344 23.264 O
5.134 0.316 21.388 O
2.358 4.083 18.531 O
5.924 3.578 10.923 O
5.924 3.955 15.689 O
0.000 5.040 2.141 O
0.000 4.973 12.886 O
5.184 1.231 18.659 O
5.134 7.218 5.225 O
0.000 4.770 8.835 O
3.746 1.190 3.349 O
5.134 4.083 18.531 O
1.308 0.000 13.306 O
5.924 7.345 2.383 O
6.075 6.330 10.706 O
3.746 2.577 16.655 O
5.924 0.188 24.230 O
1.417 6.330 10.706 O
1.569 3.955 15.689 O
1.417 1.203 15.907 O
0.000 1.273 11.166 O
1.569 3.578 10.923 O
2.358 0.316 21.388 O
1.308 3.767 0.000 O
```

---

(3)
## ScGa (PBE-GGA)

Data for ScGa after structural relaxation.

Calculated values
- Formation energy from the elements: -0.603 eV/atom
- ρ: 4.71 g/cm³
- Symmetry: No. 63
- Crystal system: orthorhombic

```
ScGa
1.0
2.014 -5.135 0.000
2.014 5.135 0.000
0.000 0.000 3.914
Sc Ga
2 2
Cartesian
2.014 3.708 0.978 Sc
2.014 -3.708 2.935 Sc
2.014 0.838 0.978 Ga
2.014 -0.838 2.935 Ga
```

---

(4)
## KBa2Re (PBE-GGA)

Data for KBa2Re after structural relaxation.

Calculated values
- Formation energy from the elements: 1.271 eV/atom
- ρ: 5.57 g/cm³
- M_tot: 0.522 μB per atom
- Symmetry: No. 216
- Crystal system: cubic

```
KBa2Re
1.0
2.574 -5.175 -1.418
-3.321 -4.895 -0.652
-0.815 -2.345 -5.409
K Ba Re
1 2 1
Cartesian
-0.780 -6.207 -3.740 K
0.000 0.000 0.000 Ba
-0.390 -3.104 -1.870 Ba
-1.171 -9.311 -5.609 Re
```

---

(5)
## Na5Sn10Hg2 (PBE-GGA)

Data for Na5Sn10Hg2 after structural relaxation.

Calculated values
- Formation energy from the elements: -0.135 eV/atom
- ρ: 5.63 g/cm³
- M_tot: 0.000 μB per atom
- Symmetry: No. 60
- Crystal system: orthorhombic

```
Na5Sn10Hg2
1.0
0.000 -11.041 0.000
-13.461 0.000 0.000
0.000 0.000 -13.520
Na Sn Hg
20 40 8
Cartesian
0.000 -8.147 -10.140 Na
0.000 -2.894 -3.380 Na